# Exercise
It remains to transcribe every line further below that contains the word "orbital_gap_ev".
# Excerpt
348
Properties=species:S:1:pos:R:3:forces:R:3:mulliken_charge:R:1 method="wB97M-V/def2-TZVPD" e_tot_ha=-8170.228014 orbital_gap_ev=8.51 mol_weight_da=2302.7 homo_energy_ev=-8.184 e_lumo_ev=0.33
C 6.236604 -3.616679 -3.390522 -0.248 0.014 0.634 -1.69
C 6.076670 -2.315566 -2.560308 0.653 0.082 0.424 1.94
C 4.753208 -1.651234 -3.030618 0.484 -0.186 0.881 -1.47
C 3.532201 -2.400509 -2.446342 1.234 -0.707 -0.517 1.63
C 3.629569 -2.414920 -0.920080 0.271 -0.297 -0.200 0.16
C 4.957609 -3.133597 -0.442176 -1.048 0.681 -1.330 1.49
N 6.065385 -2.412048 -1.033856 -0.994 1.020 -1.984 0.72
O 7.191114 -3.083644 -0.606415 1.441 -1.196 0.189 -0.60
C 5.049227 -3.000658 1.030064 -1.018 0.258 1.272 -1.39
C 4.907015 -4.626753 -0.815105 -0.634 -0.424 1.034 -0.93
C 7.373601 -1.503316 -2.878186 -0.497 0.330 -1.330 -2.17
H 5.297563 -4.154309 -3.521610 0.102 -0.080 0.148 0.06
H 6.982788 -4.299648 -2.960884 -0.109 0.296 -0.290 0.35
H 6.510453 -3.264279 -4.379994 0.357 -0.276 -0.195 0.54
H 4.731518 -0.603602 -2.746313 -0.016 0.268 0.342 -0.57
H 4.769112 -1.643759 -4.110303 -0.156 -0.199 -0.460 1.02
H 3.620453 -3.447701 -2.813544 -0.398 0.678 0.135 -1.98
H 2.616834 -2.009975 -2.879304 -0.218 0.224 0.310 0.75
H 2.804760 -2.979685 -0.464964 0.050 0.207 -0.149 -0.59
H 3.552552 -1.370700 -0.563621 0.289 -0.492 0.197 -0.11
H 4.053331 -3.330323 1.381652 0.577 -0.105 0.425 0.17
H 5.853006 -3.603621 1.447302 -0.110 0.021 0.140 0.48
H 5.136642 -1.954532 1.355100 0.209 -0.195 -0.186 0.13
H 4.508565 -5.167458 0.067753 -0.196 0.194 -0.505 0.45
H 4.235056 -4.778540 -1.658576 0.261 -0.374 0.019 -0.29
H 5.870883 -5.108055 -0.956019 0.159 0.352 -0.370 0.24
H 7.400887 -1.217725 -3.964223 -0.249 -0.171 0.843 0.33
H 8.273599 -2.109848 -2.762174 -0.131 -0.143 0.220 0.63
H 7.503926 -0.578365 -2.314086 -0.276 -0.044 0.206 0.26
H 7.892014 -2.435948 -0.574480 0.184 0.353 0.144 0.38
C -0.991042 3.287567 -3.823200 -0.254 0.602 -1.065 -0.32
C -2.383663 3.902352 -3.404838 0.866 -0.412 1.055 2.16
C -2.966751 4.676118 -4.615475 0.113 -0.883 0.662 -0.56
C -3.538925 3.725545 -5.694348 0.480 0.262 0.317 -0.72
C -4.481451 2.637137 -5.170068 -0.140 0.339 0.647 -1.17
C -3.970051 1.958709 -3.847863 0.173 0.128 -1.790 1.98
N -3.416426 2.947997 -2.893930 -0.156 -0.351 -0.539 0.05
O -2.849471 2.092171 -1.895678 1.296 -0.463 -0.480 0.97
C -5.145603 1.276987 -3.170506 -0.256 -0.066 -0.342 -1.82
C -2.947096 0.933273 -4.429993 -0.328 -0.807 0.719 -1.59
C -2.080403 4.803703 -2.192645 -0.069 0.378 0.114 -1.72
H -0.333205 2.869146 -3.061202 -0.445 0.144 0.398 -0.25
H -0.422433 4.088478 -4.353365 -0.274 -0.382 0.522 -0.08
H -1.123009 2.514524 -4.572312 0.134 0.023 0.034 -0.10
H -3.736671 5.370547 -4.280010 -0.129 -0.050 0.129 0.48
H -2.126740 5.276071 -4.979831 -0.285 -0.015 -0.290 -0.23
H -2.722736 3.241573 -6.246367 -0.037 0.216 0.107 0.18
H -4.066880 4.355193 -6.395364 -0.170 0.031 -0.457 0.58
H -4.549289 1.849902 -5.946693 -0.140 0.339 0.484 0.27
H -5.500927 3.017751 -5.018337 0.228 0.142 0.032 0.48
H -5.698330 0.722526 -3.937276 -0.044 0.009 0.177 0.51
H -4.811302 0.565464 -2.424846 -0.024 -0.096 0.233 -0.13
H -5.823787 2.016181 -2.712488 0.319 -0.236 -0.189 0.28
H -3.499933 0.126007 -4.942402 0.042 0.216 0.385 0.60
H -2.353318 1.388996 -5.212142 0.158 -0.038 0.035 0.62
H -2.295952 0.462174 -3.672384 -0.211 0.299 -0.304 -0.60
H -2.961386 5.309899 -1.765426 0.119 -0.310 -0.296 0.53
H -1.353028 5.574051 -2.431904 0.107 0.241 -0.360 0.13
H -1.593680 4.230128 -1.396270 -0.252 -0.149 -0.098 -0.11
H -3.164762 2.291076 -1.020802 -0.699 0.789 0.328 -0.23
C 2.361793 -3.437820 4.700275 0.299 0.891 -0.674 -2.15
C 1.961706 -4.774770 5.267165 -0.248 0.084 1.731 2.61
C 3.098032 -5.350701 6.121475 -0.999 0.325 0.107 -1.49
C 2.629632 -6.551109 6.975556 0.710 0.108 -0.839 -0.71
C 1.464214 -6.135409 7.904413 0.782 0.432 -0.753 -1.06
C 0.301827 -5.538570 7.074926 -0.440 0.226 0.821 1.62
N 0.823809 -4.487002 6.230277 1.829 0.614 -0.985 -0.31
O -0.164019 -3.995256 5.377978 -1.774 0.161 -0.505 1.83
# Completed
Properties=species:S:1:pos:R:3:forces:R:3:mulliken_charge:R:1 method="wB97M-V/def2-TZVPD" e_tot_ha=-8170.228014 orbital_gap_ev=8.51 mol_weight_da=2302.7 homo_energy_ev=-8.184 e_lumo_ev=0.33